The Jenkins plugins have been upgraded on Apr 8, 2013 11:27:03 and Jenkins got restarted. That can cause various regressions in the installation.
Version: wmf-deployment
Severity: normal
• hashar | |
Apr 9 2013, 12:52 PM |
F10519: file_47040.txt | |
Nov 22 2014, 1:23 AM |
The Jenkins plugins have been upgraded on Apr 8, 2013 11:27:03 and Jenkins got restarted. That can cause various regressions in the installation.
Version: wmf-deployment
Severity: normal
I didn't upgrade any plugins, but we did have issues with Jenkins being super slow so we restarted.
Looking at the plugin files date under /var/lib/jenkins/plugin :
-rw-rw-r-- 1 jenkins jenkins 2924737 Apr 8 23:27 copyartifact.jpi
-rw-rw-r-- 1 jenkins jenkins 5134796 Apr 8 23:27 depgraph-view.jpi
-rw-rw-r-- 1 jenkins jenkins 2764886 Apr 8 23:27 git-client.jpi
-rw-rw-r-- 1 jenkins jenkins 3408310 Apr 8 23:27 git.jpi
-rw-rw-r-- 1 jenkins jenkins 129619 Apr 8 23:27 jobConfigHistory.jpi
-rw-rw-r-- 1 jenkins jenkins 2936677 Apr 8 23:27 xunit.jpi
copyartifact: 1.25 -> 1.26 | not a problem
depgraph-view 1.10 -> 1.11 | not a problem
xunit 1.52 -> 1.53 | not a problem
git plugin: 1.1.26 -> 1.3.0
addition of git-client plugin 1.0.5 which LUCKILY has the revert of the Jgit migration and still use the safe git-cli implementation.
job configuration history: 1.13 -> 2.3
The config history plugin has lost all of its history. This is due to version 2.0 that changed the location where files are saved.
Migrated all job history from the per job directory to the shared directory /var/lib/jenkins/config-history/jobs using the following script:
#!/bin/bash -e
cd "$src"
dirs=( * )
for f in "${dirs[@]}"
cp -r -v "$f/config-history" "$target/$f"
grmblbl that copied config-history as a subdirectory of the job. Need to be fixed later on.
Job configs have been copied properly restoring the access.
git plugin seems to be still working.
I guess that is solved for now :-]
For history purpose, this bug was intended has a log of what I did after the plugins got upgraded.
(In reply to comment #0)
The Jenkins plugins have been upgraded on Apr 8, 2013 11:27:03 and Jenkins
got restarted. That can cause various regressions in the installation.
/*
# 1
The following is a DFT calculation (PBE) of an optimized crystal structure of Ca2VZnRe.

```
5
Lattice="-4.622 1.501 2.951 -0.383 -4.188 1.531 3.275 1.329 4.453" Properties=species:S:1:pos:R:3 pbc="T T T"
V -0.191 -2.094 0.766
Re 0.000 0.000 0.000
Zn -0.865 -0.679 4.468
Ca -2.311 0.751 1.475
Ca 1.637 0.664 2.227
```

Properties
M_tot: 0.1119 μB per atom
Space-group type: No. 123
Uncorrected energy: -22.71 eV per cell



# 2
The following is a DFT calculation (PBE) of an optimized crystal structure of KBaSrCa.

```
4
Lattice="-2.506 3.074 -5.578 -6.404 -1.298 -2.037 -4.830 4.809 0.622" Properties=species:S:1:pos:R:3 pbc="T T T"
Ca 0.000 0.000 0.000
Sr -3.435 1.647 -1.748
Ba -10.305 4.940 -5.245
K -6.870 3.293 -3.497
```

Properties
M_tot: 0.0000 μB per atom
Space-group type: No. 216
Uncorrected energy: -6.25 eV per cell


# CuGeP

CuGeP after structural relaxation (PBE-GGA, the Alexandria database).

**DFT total energy**: -13.478 eV/cell
**Polymorph energy (0 for the lowest one)**: 107 meV per atom
**Space group**: Cm (8)
**ΔE_f**: 0.215 eV per atom

Structure (POSCAR):
```
CuGeP
1.0
5.533 -1.671 0.000
5.533 1.671 0.000
-0.562 0.000 2.527
Cu Ge P
1 1 1
Direct
0.000 0.000 0.000 Cu
0.344 0.344 0.340 Ge
0.656 0.656 0.162 P
```


Record 1
The following is a PBE-GGA calculation of a geometry-optimized La2Sm3Se4 structure, from Alexandria via LeMat-Bulk. Values from VASP.

```
&SYSTEM
  ibrav = 0, nat = 9, ntyp = 3
/
ATOMIC_SPECIES
Se 78.96 Se.upf
La 138.91 La.upf
Sm 150.36 Sm.upf
ATOMIC_POSITIONS angstrom
Se 0.689 2.191 9.553
La 3.368 2.387 13.849
Sm 4.920 4.871 16.889
Se 0.548 3.506 5.583
Sm 1.690 1.172 6.995
Sm 0.000 0.000 0.000
La 3.242 3.656 10.036
Se 5.921 3.852 14.331
Se 6.062 2.537 18.301
CELL_PARAMETERS angstrom
-2.140 3.341 1.182
1.824 -0.137 10.940
6.926 2.839 11.763
```


Record 2
The following is a PBE-GGA calculation of a geometry-optimized La4SmSe6 structure, from Alexandria via LeMat-Bulk. Values from VASP.

```
&SYSTEM
  ibrav = 0, nat = 22, ntyp = 3
/
ATOMIC_SPECIES
Se 78.96 Se.upf
La 138.91 La.upf
Sm 150.36 Sm.upf
ATOMIC_POSITIONS angstrom
Se -0.841 3.767 9.138
La 2.603 -0.487 6.559
Sm 0.000 0.000 0.000
Se 1.326 -1.989 8.868
La -4.367 -2.023 7.873
La -2.846 2.159 7.468
La -0.703 0.738 3.813
Se 1.324 -5.131 10.219
Se -0.922 -6.277 5.294
La 1.083 -4.669 6.964
Se -2.365 -0.430 9.509
Se 0.602 -2.080 4.922
Sm -0.882 -1.255 7.216
Se 0.226 1.362 6.952
La -2.224 -3.445 4.218
Se -1.989 -3.871 7.479
La 0.460 0.935 10.213
La -1.060 -3.248 10.618
Se -3.089 -0.521 5.563
Se -3.087 2.622 4.212
Se -0.807 -0.588 12.551
Se -0.956 -1.922 1.881
CELL_PARAMETERS angstrom
-5.052 4.468 5.147
-2.800 -7.259 3.383
6.088 0.281 5.901
```


Record 3
The following is a PBE-GGA calculation of a geometry-optimized Sr2LaSmSe4 structure, from Alexandria via LeMat-Bulk. Values from VASP.

```
&SYSTEM
  ibrav = 0, nat = 8, ntyp = 4
/
ATOMIC_SPECIES
Se 78.96 Se.upf
Sr 87.62 Sr.upf
Sm 150.36 Sm.upf
La 138.91 La.upf
ATOMIC_POSITIONS angstrom
Se 0.000 -0.130 5.434
*/
They were upgraded by me. I logged into the admin panel and updates a few plugins (not all).
Then when Jenkins opted to restart later or now, I told it do it now.
However when it got back up it hung on "Please wait while Jenkins is getting ready to work..." for ever.
(In reply to comment #2)
I didn't upgrade any plugins, but we did have issues with Jenkins being super
slow so we restarted.
It wasn't slow. It was stuck restarting.
Roan then helped out (as root) by digging through the jtack and jmap[1], but that didn't help us at the time.
Then right before we were considering to kill it and start again, it finished all fo a sudden. By this time the "Please wait while Jenkins is getting ready to work..." screen was on the web gui for almost half an hour. Apparently that's just how long it takes to restart after updating plugins.
(In reply to comment #3)
job configuration history: 1.13 -> 2.3
The config history plugin has lost all of its history. This is due to version
2.0 that changed the location where files are saved.
I did look at the changelog of JobConfigHistory but missed the notice about the location changing. The migration script is available on the plugin page:
So that's the only thing that happened, right? The old versions of job configurations got disconnected and they were re-imported with that script.
It wasn't slow. It was stuck restarting.
Then right before we were considering to kill it and start again, it finished
all fo a sudden.
Which highlight the fact that Jenkins is slow to reload, isn't it? :-] On startup there is a background process that parse the build histories, while it is busy handling them, the web interface is not available :/
So yeah, luckily, I just had to migrate the config histories :-] I even patched upstream migration shell script to take care of jobs having spaces in their names \O/
The Job config history is a side effect, the main cause was careless upgrade of all the plugins which could have been much more impact.
I am putting back the summary to easy find out the bug later on.